What is needed: work out how many lines further down have the word "highest" in them; a number is enough.

/*
No. 1
The following is a DFT calculation (wB97M-V/def2-TZVPD) of a molecular structure, C33H27BIrN3O2S5Te in a non-equilibrium geometry.

XYZ file:
```
73
Properties=species:S:1:pos:R:3:forces:R:3
Ir 1.271037 -1.791602 -1.091048 0.2 -0.2 -1.7
S -0.245769 -6.963407 -5.976607 -0.3 0.0 -0.2
C 0.142950 -5.790589 -4.869548 0.5 -0.2 -1.2
S 0.143319 -4.079785 -5.203311 -0.7 -1.5 -0.8
C 0.544437 -3.625597 -3.637348 0.4 -0.4 2.4
C 0.944512 -4.655727 -2.715467 0.4 3.0 -0.6
S 1.612078 -4.189614 -1.218794 -0.1 -0.5 -0.3
S 0.875670 -6.215476 -3.402205 -0.2 -0.6 0.5
S 0.308361 -2.010238 -3.228258 0.2 0.5 0.6
C 5.565920 -0.309950 -2.491073 0.4 0.9 0.0
C 5.410710 -1.480127 -1.749291 0.7 -0.8 -0.2
C 4.142907 -1.978345 -1.501372 0.6 1.3 -0.2
C 3.017995 -1.292670 -1.973627 -0.6 -0.5 -0.3
C 3.162288 -0.249027 -2.910273 1.2 -0.5 0.3
C 4.451613 0.279416 -3.095283 -0.3 0.7 0.0
H 6.523810 0.246301 -2.497101 -0.5 -0.6 -0.3
H 6.276044 -2.081721 -1.397979 -0.4 0.8 -0.1
H 4.035287 -2.793903 -0.810804 -0.1 -0.3 0.0
H 2.327308 0.117663 -3.511213 0.1 0.0 0.5
H 4.532229 1.257659 -3.617710 0.2 -0.8 0.1
C 1.346339 4.652487 -1.818929 0.2 -0.8 0.4
Te 1.308734 2.442295 -2.027062 -0.5 -1.3 -1.1
C 1.687571 2.512208 0.097699 -0.3 1.3 0.3
C 1.862231 3.937638 0.556830 0.3 0.8 -0.7
C 2.364424 4.266657 1.826156 -1.1 2.1 -0.7
C 2.497023 5.655923 2.143983 -0.1 -1.1 -0.2
C 2.069870 6.651282 1.270314 -0.1 -0.8 0.4
C 1.546189 6.324485 0.023998 0.7 -0.5 0.5
C 1.580133 5.004706 -0.412420 0.4 -0.6 1.6
H 0.375831 4.873443 -2.181243 -0.9 0.5 -0.5
H 2.108039 4.872599 -2.557760 0.1 0.6 0.1
H 2.581582 1.934299 0.178768 0.7 -0.5 0.3
H 0.873107 1.947467 0.550023 0.0 0.0 0.2
H 2.455853 3.536896 2.612862 0.4 -0.3 -0.1
H 2.917295 5.929405 3.105416 -0.1 0.0 0.0
H 2.114291 7.675723 1.577091 0.0 0.5 0.2
H 1.169279 7.118357 -0.592677 0.0 0.1 -0.5
O -1.124340 -4.335179 -0.247986 0.1 1.2 0.0
C -1.327999 -3.165247 0.015182 0.3 2.3 0.4
N -2.550133 -2.712501 0.506351 0.4 -2.0 -0.1
C -2.621846 -1.372374 0.920153 0.7 0.1 0.6
C -1.125739 -0.910640 0.574599 0.3 -1.3 -0.2
O -0.702601 0.204082 0.852233 -0.2 -0.4 -0.3
N -0.467014 -1.947896 -0.056855 -3.5 -1.4 1.5
C -2.975734 -1.174440 2.435376 0.1 0.0 -0.7
C -3.079021 0.140382 2.873294 0.0 0.0 1.0
C -3.610256 0.442698 4.138048 -0.1 -0.7 -0.4
C -4.077472 -0.556599 4.986872 0.5 -0.7 -1.3
C -3.827388 -1.896324 4.585925 -0.6 1.3 0.7
C -3.274278 -2.200358 3.359063 0.0 0.2 -0.5
C -3.568647 -0.617768 -0.000201 -0.9 1.1 0.4
C -3.369297 0.760211 -0.181750 -0.7 -0.5 -0.6
C -4.156293 1.462964 -1.095701 -0.3 0.9 0.2
C -5.276592 0.888603 -1.714740 0.7 -0.3 -0.1
C -5.485068 -0.461351 -1.474290 0.5 -0.1 0.8
C -4.689139 -1.209868 -0.611969 1.1 -0.7 0.4
H -3.193455 -3.445346 0.748812 -0.2 0.2 0.2
H -2.707406 0.950879 2.262791 -0.2 -0.1 0.0
H -3.704874 1.471530 4.412013 -0.1 0.5 0.2
H -4.673474 -0.294178 5.849931 0.3 -0.2 0.3
H -4.130788 -2.703944 5.233722 0.0 -0.1 0.1
H -3.140260 -3.264279 3.176815 0.1 0.3 -0.5
H -2.597519 1.246302 0.398450 0.2 0.1 -0.6
H -3.882512 2.513618 -1.269378 -0.3 -0.4 0.0
H -5.947146 1.395633 -2.428456 0.6 0.0 0.5
H -6.249007 -0.980903 -1.970217 -1.2 -0.5 -0.6
H -4.861421 -2.304284 -0.422926 0.0 1.3 -0.5
B 2.914654 -1.267760 3.262718 0.2 -0.3 1.1
C 2.429306 -1.210204 1.792496 -0.8 -0.9 -2.3
N 2.052206 -1.334798 0.694399 1.0 0.3 2.2
H 2.159017 -0.574408 3.919614 0.0 0.0 0.1
H 4.042798 -0.814266 3.305765 0.1 0.0 0.0
H 2.898240 -2.451122 3.715107 0.0 0.8 -0.6
```
Forces are in eV/Å.

The spin multiplicity is 5. For the gap between HOMO and LUMO (alpha / beta), the calculation gives 4.07 / 4.85 eV. As for the highest occupied orbital energy (alpha / beta): -0.33 / -2.40 eV. As for the total charge: -2. Its relative energy (zero: lowest compared OMol25 entry of this formula, charge and spin) is 11.4 kJ/mol.

No. 2
The following is a DFT calculation (wB97M-V/def2-TZVPD) of a molecular structure, C33H27CaIN9O9PS2Se2.

XYZ file:
```
85
Properties=species:S:1:pos:R:3:forces:R:3
Ca -0.442538 0.659102 0.274216 -0.1 -0.6 -0.3
*/

1